-- begin --
# 1
This record from Alexandria via LeMat-Bulk describes a PBEsol-optimized structure of LiPPt2. The functional is meta-GGA SCAN.

Calculated values
Space group ... Pmmm (47)
Crystal system ... orthorhombic
Energy of formation ... -0.515 eV/atom

Cell and atoms, written as POSCAR:
```
LiPPt2
1.0
2.768 0.000 0.000
0.000 3.848 0.000
0.000 0.000 5.371
Li P Pt
1 1 2
direct
0.500 0.500 0.500
0.000 0.500 0.000
0.000 0.000 0.256
0.000 0.000 0.744
```


# 2
This record from Alexandria via LeMat-Bulk describes a PBEsol-optimized structure of LiP2Pt. The functional is meta-GGA SCAN.

Calculated values
Space group ... P4/mmm (123)
Crystal system ... tetragonal
Energy of formation ... -0.179 eV/atom

Cell and atoms, written as POSCAR:
```
LiP2Pt
1.0
-1.417 2.738 -1.821
-2.486 -2.425 -1.712
-2.544 0.587 2.864
P Pt Li
2 1 1
direct
0.000 0.000 0.000
0.000 0.500 0.500
0.500 0.500 0.000
0.500 0.000 0.500
```


# 3
This record from Alexandria via LeMat-Bulk describes a PBEsol-optimized structure of RbLi3P. The functional is meta-GGA SCAN.

Calculated values
Space group ... Pm-3m (221)
Crystal system ... cubic
Energy of formation ... -0.374 eV/atom

Cell and atoms, written as POSCAR:
```
RbLi3P
1.0
-2.884 -2.717 -2.880
1.359 -4.026 2.437
-3.719 0.636 3.123
P Rb Li
1 1 3
direct
0.000 0.000 0.000
0.500 0.500 0.500
0.000 0.500 0.000
0.000 0.000 0.500
0.500 0.000 0.000
```


# 4
This record from Alexandria via LeMat-Bulk describes a PBEsol-optimized structure of LiReP2S. The functional is meta-GGA SCAN.

Calculated values
Space group ... P4/mmm (123)
Crystal system ... tetragonal
Total energy ... -102.6 eV/f.u.

Cell and atoms, written as POSCAR:
```
LiReP2S
1.0
-1.272 -4.314 -0.167
2.147 -0.783 3.878
-4.258 1.155 2.591
Re S Li P
1 1 1 2
direct
0.000 0.000 0.000
0.000 0.000 0.500
0.500 0.500 0.500
0.000 0.500 0.000
0.500 0.000 0.000
```


# 5
This record from Alexandria via LeMat-Bulk describes a PBEsol-optimized structure of Li2PRh2. The functional is meta-GGA SCAN.

Calculated values
Space group ... P4/mbm (127)
Crystal system ... tetragonal
Energy of formation ... -0.677 eV/atom

Cell and atoms, written as POSCAR:
```
Li2PRh2
1.0
-0.046 -3.141 -2.861
4.034 -2.862 3.078
-4.202 -2.683 3.013
P Rh Li
2 4 4
direct
0.000 0.000 0.000
0.000 0.500 0.500
0.000 0.344 0.844
0.000 0.844 0.656
0.000 0.656 0.156
0.000 0.156 0.344
0.500 0.161 0.661
0.500 0.661 0.839
0.500 0.839 0.339
0.500 0.339 0.161
```


# 6
This record from Alexandria via LeMat-Bulk describes a PBEsol-optimized structure of LiPRh2. The functional is meta-GGA SCAN.

Calculated values
Space group ... Amm2 (38)
Crystal system ... orthorhombic
Energy of formation ... -0.499 eV/atom

Cell and atoms, written as POSCAR:
```
LiPRh2
1.0
2.784 0.000 -0.023
0.000 4.234 0.000
-1.355 0.000 4.370
Li P Rh
1 1 2
direct
0.069 0.000 0.513
0.699 0.500 0.773
0.803 0.000 0.980
0.429 0.500 0.233
```


Magnetic moment / μB per formula unit: 0.0 0.0 0.0 0.0 0.0 0.0

----------

# 1
# AgAsW

A relaxed AgAsW crystal (PBE-GGA, the Open Quantum Materials Database).

The structure in POSCAR format:
```
AgAsW
1.0
0.000 3.133 3.133
3.133 0.000 3.133
3.133 3.133 0.000
Ag As W
1 1 1
direct
0.000 0.000 0.000
0.750 0.750 0.750
0.250 0.250 0.250
```

Summary:
Excess energy over the best structure of this formula in the dataset (meV/atom): 687
Magnetic moment (μB per cell): 2.8
Calculated total energy (eV for the cell shown): -16.0



# 2
# AgAs2W

A relaxed AgAs2W crystal (PBE-GGA, the Open Quantum Materials Database).

The structure in POSCAR format:
```
AgAs2W
1.0
0.000 3.262 3.262
3.262 0.000 3.262
3.262 3.262 0.000
Ag As W
1 2 1
direct
0.000 0.000 0.000
0.250 0.250 0.250
0.500 0.500 0.500
0.750 0.750 0.750
```

Summary:
Magnetic moment (μB per cell): 0.5
Calculated total energy (eV for the cell shown): -21.6



# 3
# AgAsW

A relaxed AgAsW crystal (PBE-GGA, the Open Quantum Materials Database).

The structure in POSCAR format:
```
AgAsW
1.0
0.000 3.085 3.085
3.085 0.000 3.085
3.085 3.085 0.000
Ag As W
1 1 1
direct
-- stop --

Your job: echo the calculation results earlier on unchanged.

# 1
This record from Alexandria via LeMat-Bulk describes a PBEsol-optimized structure of LiPPt2. The functional is meta-GGA SCAN.

Calculated values
Space group ... Pmmm (47)
Crystal system ... orthorhombic
Energy of formation ... -0.515 eV/atom

Cell and atoms, written as POSCAR:
```
LiPPt2
1.0
2.768 0.000 0.000
0.000 3.848 0.000
0.000 0.000 5.371
Li P Pt
1 1 2
direct
0.500 0.500 0.500
0.000 0.500 0.000
0.000 0.000 0.256
0.000 0.000 0.744
```


# 2
This record from Alexandria via LeMat-Bulk describes a PBEsol-optimized structure of LiP2Pt. The functional is meta-GGA SCAN.

Calculated values
Space group ... P4/mmm (123)
Crystal system ... tetragonal
Energy of formation ... -0.179 eV/atom

Cell and atoms, written as POSCAR:
```
LiP2Pt
1.0
-1.417 2.738 -1.821
-2.486 -2.425 -1.712
-2.544 0.587 2.864
P Pt Li
2 1 1
direct
0.000 0.000 0.000
0.000 0.500 0.500
0.500 0.500 0.000
0.500 0.000 0.500
```


# 3
This record from Alexandria via LeMat-Bulk describes a PBEsol-optimized structure of RbLi3P. The functional is meta-GGA SCAN.

Calculated values
Space group ... Pm-3m (221)
Crystal system ... cubic
Energy of formation ... -0.374 eV/atom

Cell and atoms, written as POSCAR:
```
RbLi3P
1.0
-2.884 -2.717 -2.880
1.359 -4.026 2.437
-3.719 0.636 3.123
P Rb Li
1 1 3
direct
0.000 0.000 0.000
0.500 0.500 0.500
0.000 0.500 0.000
0.000 0.000 0.500
0.500 0.000 0.000
```


# 4
This record from Alexandria via LeMat-Bulk describes a PBEsol-optimized structure of LiReP2S. The functional is meta-GGA SCAN.

Calculated values
Space group ... P4/mmm (123)
Crystal system ... tetragonal
Total energy ... -102.6 eV/f.u.

Cell and atoms, written as POSCAR:
```
LiReP2S
1.0
-1.272 -4.314 -0.167
2.147 -0.783 3.878
-4.258 1.155 2.591
Re S Li P
1 1 1 2
direct
0.000 0.000 0.000
0.000 0.000 0.500
0.500 0.500 0.500
0.000 0.500 0.000
0.500 0.000 0.000
```


# 5
This record from Alexandria via LeMat-Bulk describes a PBEsol-optimized structure of Li2PRh2. The functional is meta-GGA SCAN.

Calculated values
Space group ... P4/mbm (127)
Crystal system ... tetragonal
Energy of formation ... -0.677 eV/atom

Cell and atoms, written as POSCAR:
```
Li2PRh2
1.0
-0.046 -3.141 -2.861
4.034 -2.862 3.078
-4.202 -2.683 3.013
P Rh Li
2 4 4
direct
0.000 0.000 0.000
0.000 0.500 0.500
0.000 0.344 0.844
0.000 0.844 0.656
0.000 0.656 0.156
0.000 0.156 0.344
0.500 0.161 0.661
0.500 0.661 0.839
0.500 0.839 0.339
0.500 0.339 0.161
```


# 6
This record from Alexandria via LeMat-Bulk describes a PBEsol-optimized structure of LiPRh2. The functional is meta-GGA SCAN.

Calculated values
Space group ... Amm2 (38)
Crystal system ... orthorhombic
Energy of formation ... -0.499 eV/atom

Cell and atoms, written as POSCAR:
```
LiPRh2
1.0
2.784 0.000 -0.023
0.000 4.234 0.000
-1.355 0.000 4.370
Li P Rh
1 1 2
direct
0.069 0.000 0.513
0.699 0.500 0.773
0.803 0.000 0.980
0.429 0.500 0.233
```


Magnetic moment / μB per formula unit: 0.0 0.0 0.0 0.0 0.0 0.0

----------

# 1
# AgAsW

A relaxed AgAsW crystal (PBE-GGA, the Open Quantum Materials Database).

The structure in POSCAR format:
```
AgAsW
1.0
0.000 3.133 3.133
3.133 0.000 3.133
3.133 3.133 0.000
Ag As W
1 1 1
direct
0.000 0.000 0.000
0.750 0.750 0.750
0.250 0.250 0.250
```

Summary:
Excess energy over the best structure of this formula in the dataset (meV/atom): 687
Magnetic moment (μB per cell): 2.8
Calculated total energy (eV for the cell shown): -16.0



# 2
# AgAs2W

A relaxed AgAs2W crystal (PBE-GGA, the Open Quantum Materials Database).

The structure in POSCAR format:
```
AgAs2W
1.0
0.000 3.262 3.262
3.262 0.000 3.262
3.262 3.262 0.000
Ag As W
1 2 1
direct
0.000 0.000 0.000
0.250 0.250 0.250
0.500 0.500 0.500
0.750 0.750 0.750
```

Summary:
Magnetic moment (μB per cell): 0.5
Calculated total energy (eV for the cell shown): -21.6



# 3
# AgAsW

A relaxed AgAsW crystal (PBE-GGA, the Open Quantum Materials Database).

The structure in POSCAR format:
```
AgAsW
1.0
0.000 3.085 3.085
3.085 0.000 3.085
3.085 3.085 0.000
Ag As W
1 1 1
direct